_Activity_
Now print the entries further below from the first line to the one with "all 14" without additions.

_Data_
# 1
This record from the Materials Project database describes a relaxed structure of Pr3CrS6. The functional is r²SCAN.

Lattice parameters (Å, degrees): 3.924 13.775 16.328 90.00 90.00 90.00
Fractional coordinates of all 40 atoms:
S  0.500  0.400  0.255
S  0.000  0.100  0.755
Pr  0.500  0.947  0.782
S  0.500  0.600  0.745
S  0.500  0.922  0.072
Pr  0.000  0.447  0.718
S  0.500  0.675  0.980
Pr  0.500  0.740  0.596
S  0.000  0.123  0.101
S  0.000  0.900  0.245
S  0.000  0.810  0.710
Pr  0.000  0.760  0.096
Pr  0.000  0.553  0.282
S  0.500  0.325  0.020
S  0.000  0.877  0.899
S  0.000  0.175  0.520
Pr  0.000  0.240  0.904
S  0.000  0.825  0.480
S  0.500  0.377  0.601
S  0.000  0.422  0.428
S  0.500  0.976  0.595
Cr  0.000  0.000  0.500
Pr  0.500  0.260  0.404
Pr  0.000  0.321  0.148
S  0.000  0.524  0.095
Cr  0.000  0.000  0.000
Pr  0.000  0.679  0.852
Pr  0.500  0.179  0.648
S  0.500  0.623  0.399
S  0.500  0.024  0.405
S  0.000  0.476  0.905
Pr  0.500  0.053  0.218
Cr  0.500  0.500  0.000
Pr  0.500  0.821  0.352
S  0.500  0.690  0.210
S  0.000  0.578  0.572
S  0.500  0.078  0.928
Cr  0.500  0.500  0.500
S  0.000  0.190  0.290
S  0.500  0.310  0.790

Calculated values
crystal system = orthorhombic
volume = 22.067 Å³/atom
E_tot = -686.97 eV per cell

# 2
This record from the Materials Project database describes a relaxed structure of PrCrSb3. The functional is r²SCAN.

Lattice parameters (Å, degrees): 6.271 6.204 13.254 90.00 90.00 90.00
Fractional coordinates of all 20 atoms:
Cr  0.000  0.250  0.092
Cr  0.500  0.750  0.908
Sb  0.750  0.001  0.780
Sb  0.000  0.250  0.498
Cr  0.500  0.250  0.092
Sb  0.250  0.999  0.220
Sb  0.250  0.107  0.936
Pr  0.750  0.995  0.311
Pr  0.250  0.005  0.689
Sb  0.500  0.250  0.498
Sb  0.250  0.499  0.780
Sb  0.500  0.750  0.502
Pr  0.250  0.505  0.311
Sb  0.750  0.393  0.936
Sb  0.000  0.750  0.502
Sb  0.250  0.607  0.064
Sb  0.750  0.893  0.064
Cr  0.000  0.750  0.908
Sb  0.750  0.501  0.220
Pr  0.750  0.495  0.689

Calculated values
crystal system = orthorhombic
volume = 25.784 Å³/atom
E_tot = -498.18 eV per cell

# 3
This record from the Materials Project database describes a relaxed structure of CrPt. The functional is r²SCAN.

Lattice parameters (Å, degrees): 2.944 2.944 3.439 90.00 90.00 90.00
Fractional coordinates of all 2 atoms:
Cr  0.000  0.000  0.000
Pt  0.500  0.500  0.500

Calculated values
crystal system = tetragonal
volume = 14.906 Å³/atom
E_tot = -67.11 eV per cell

# 4
This record from the Materials Project database describes a relaxed structure of CrPt3. The functional is r²SCAN.

Lattice parameters (Å, degrees): 3.896 3.896 3.896 90.00 90.00 90.00
Fractional coordinates of all 4 atoms:
Pt  0.000  0.500  0.500
Pt  0.500  0.000  0.500
Pt  0.500  0.500  0.000
Cr  0.000  0.000  0.000

Calculated values
crystal system = cubic
volume = 14.784 Å³/atom
E_tot = -170.91 eV per cell

# 5
This record from the Materials Project database describes a relaxed structure of RbCrSe2. The functional is r²SCAN.

Lattice parameters (Å, degrees): 3.855 3.855 8.057 76.17 76.17 60.00
Fractional coordinates of all 4 atoms:
Cr  0.002  0.002  0.993
Se  0.393  0.393  0.823
Se  0.611  0.611  0.166
Rb  0.834  0.834  0.498

Calculated values
crystal system = trigonal
volume = 24.913 Å³/atom
E_tot = -61.94 eV per cell

# 6
This record from the Materials Project database describes a relaxed structure of RbCr5Se8. The functional is r²SCAN.

Lattice parameters (Å, degrees): 3.684 9.148 9.662 104.68 100.99 90.00
Fractional coordinates of all 14 atoms:
Se  0.171  0.489  0.342
Se  0.238  0.157  0.477
Se  0.914  0.172  0.828
Se  0.424  0.848  0.849
Se  0.762  0.843  0.523
Cr  0.659  0.978  0.317
Rb  0.500  0.500  0.000
Cr  0.000  0.000  0.000
Cr  0.704  0.335  0.409
Se  0.829  0.511  0.658
Se  0.576  0.152  0.151
Cr  0.341  0.022  0.683
Cr  0.296  0.665  0.591
Se  0.086  0.828  0.172

Calculated values
crystal system = monoclinic
volume = 22.059 Å³/atom
E_tot = -217.11 eV per cell

# 7

_Here it is_
# 1
This record from the Materials Project database describes a relaxed structure of Pr3CrS6. The functional is r²SCAN.

Lattice parameters (Å, degrees): 3.924 13.775 16.328 90.00 90.00 90.00
Fractional coordinates of all 40 atoms:
S  0.500  0.400  0.255
S  0.000  0.100  0.755
Pr  0.500  0.947  0.782
S  0.500  0.600  0.745
S  0.500  0.922  0.072
Pr  0.000  0.447  0.718
S  0.500  0.675  0.980
Pr  0.500  0.740  0.596
S  0.000  0.123  0.101
S  0.000  0.900  0.245
S  0.000  0.810  0.710
Pr  0.000  0.760  0.096
Pr  0.000  0.553  0.282
S  0.500  0.325  0.020
S  0.000  0.877  0.899
S  0.000  0.175  0.520
Pr  0.000  0.240  0.904
S  0.000  0.825  0.480
S  0.500  0.377  0.601
S  0.000  0.422  0.428
S  0.500  0.976  0.595
Cr  0.000  0.000  0.500
Pr  0.500  0.260  0.404
Pr  0.000  0.321  0.148
S  0.000  0.524  0.095
Cr  0.000  0.000  0.000
Pr  0.000  0.679  0.852
Pr  0.500  0.179  0.648
S  0.500  0.623  0.399
S  0.500  0.024  0.405
S  0.000  0.476  0.905
Pr  0.500  0.053  0.218
Cr  0.500  0.500  0.000
Pr  0.500  0.821  0.352
S  0.500  0.690  0.210
S  0.000  0.578  0.572
S  0.500  0.078  0.928
Cr  0.500  0.500  0.500
S  0.000  0.190  0.290
S  0.500  0.310  0.790

Calculated values
crystal system = orthorhombic
volume = 22.067 Å³/atom
E_tot = -686.97 eV per cell

# 2
This record from the Materials Project database describes a relaxed structure of PrCrSb3. The functional is r²SCAN.

Lattice parameters (Å, degrees): 6.271 6.204 13.254 90.00 90.00 90.00
Fractional coordinates of all 20 atoms:
Cr  0.000  0.250  0.092
Cr  0.500  0.750  0.908
Sb  0.750  0.001  0.780
Sb  0.000  0.250  0.498
Cr  0.500  0.250  0.092
Sb  0.250  0.999  0.220
Sb  0.250  0.107  0.936
Pr  0.750  0.995  0.311
Pr  0.250  0.005  0.689
Sb  0.500  0.250  0.498
Sb  0.250  0.499  0.780
Sb  0.500  0.750  0.502
Pr  0.250  0.505  0.311
Sb  0.750  0.393  0.936
Sb  0.000  0.750  0.502
Sb  0.250  0.607  0.064
Sb  0.750  0.893  0.064
Cr  0.000  0.750  0.908
Sb  0.750  0.501  0.220
Pr  0.750  0.495  0.689

Calculated values
crystal system = orthorhombic
volume = 25.784 Å³/atom
E_tot = -498.18 eV per cell

# 3
This record from the Materials Project database describes a relaxed structure of CrPt. The functional is r²SCAN.

Lattice parameters (Å, degrees): 2.944 2.944 3.439 90.00 90.00 90.00
Fractional coordinates of all 2 atoms:
Cr  0.000  0.000  0.000
Pt  0.500  0.500  0.500

Calculated values
crystal system = tetragonal
volume = 14.906 Å³/atom
E_tot = -67.11 eV per cell

# 4
This record from the Materials Project database describes a relaxed structure of CrPt3. The functional is r²SCAN.

Lattice parameters (Å, degrees): 3.896 3.896 3.896 90.00 90.00 90.00
Fractional coordinates of all 4 atoms:
Pt  0.000  0.500  0.500
Pt  0.500  0.000  0.500
Pt  0.500  0.500  0.000
Cr  0.000  0.000  0.000

Calculated values
crystal system = cubic
volume = 14.784 Å³/atom
E_tot = -170.91 eV per cell

# 5
This record from the Materials Project database describes a relaxed structure of RbCrSe2. The functional is r²SCAN.

Lattice parameters (Å, degrees): 3.855 3.855 8.057 76.17 76.17 60.00
Fractional coordinates of all 4 atoms:
Cr  0.002  0.002  0.993
Se  0.393  0.393  0.823
Se  0.611  0.611  0.166
Rb  0.834  0.834  0.498

Calculated values
crystal system = trigonal
volume = 24.913 Å³/atom
E_tot = -61.94 eV per cell

# 6
This record from the Materials Project database describes a relaxed structure of RbCr5Se8. The functional is r²SCAN.

Lattice parameters (Å, degrees): 3.684 9.148 9.662 104.68 100.99 90.00
Fractional coordinates of all 14 atoms: